== Source ==
- - -
Record 1
DFT (PBE) results for a geometry-optimized Dy3Zn11 structure.

- electronic total energy (eV per atom) = -2.32
- formation energy from the elements (eV per atom) = -0.339

abc: 8.142 8.142 8.142
angles: 148.36 114.34 74.72
Fractional positions:
Zn 0.858 0.138 0.720
Zn 0.301 0.659 0.641
Zn 0.018 0.659 0.359
Zn 0.318 0.500 0.818
Zn 0.582 0.862 0.720
Zn 0.982 0.341 0.641
Zn 0.699 0.341 0.359
Zn 0.142 0.862 0.280
Zn 0.682 0.500 0.182
Zn 0.500 0.000 0.500
Zn 0.418 0.138 0.280
Dy 0.294 0.294 0.000
Dy 0.000 0.000 0.000
Dy 0.706 0.706 0.000

---

Record 2
DFT (PBE) results for a geometry-optimized TeO6 structure.

- electronic total energy (eV per atom) = -3.97
- M_tot (μB/cell) = 6.00
- formation energy from the elements (eV per atom) = 0.129
- ΔE to the lowest computed polymorph (meV/atom) = 136

abc: 5.308 5.308 5.308
angles: 60.00 60.00 60.00
Fractional positions:
O 0.262 0.738 0.262
O 0.738 0.262 0.738
O 0.262 0.262 0.738
O 0.738 0.738 0.262
O 0.262 0.738 0.738
O 0.738 0.262 0.262
Te 0.000 0.000 0.000

---

Record 3
DFT (PBE) results for a geometry-optimized KCO2 structure.

- electronic total energy (eV per atom) = -6.62
- formation energy from the elements (eV per atom) = -1.906

abc: 3.504 6.212 11.090
angles: 90.00 90.00 90.00
Fractional positions:
C 0.000 0.431 0.940
C 0.000 0.069 0.440
C 0.000 0.931 0.560
C 0.000 0.569 0.060
O 0.000 0.465 0.159
O 0.000 0.965 0.341
O 0.000 0.035 0.659
O 0.000 0.272 0.451
O 0.000 0.728 0.549
O 0.000 0.772 0.049
O 0.000 0.228 0.951
O 0.000 0.535 0.841
K 0.500 0.596 0.349
K 0.500 0.904 0.849
K 0.500 0.404 0.651
K 0.500 0.096 0.151

---

Record 4
DFT (PBE) results for a geometry-optimized TmBiPt structure.

- electronic total energy (eV per atom) = -5.83
- formation energy from the elements (eV per atom) = -1.017

abc: 4.734 4.734 4.734
angles: 60.00 60.00 60.00
Fractional positions:
Pt 0.250 0.250 0.250
Bi 0.000 0.000 0.000
Tm 0.500 0.500 0.500
- - -

== What to do ==
Restate the whole of the material above unchanged.

== Worked solution ==
Record 1
DFT (PBE) results for a geometry-optimized Dy3Zn11 structure.

- electronic total energy (eV per atom) = -2.32
- formation energy from the elements (eV per atom) = -0.339

abc: 8.142 8.142 8.142
angles: 148.36 114.34 74.72
Fractional positions:
Zn 0.858 0.138 0.720
Zn 0.301 0.659 0.641
Zn 0.018 0.659 0.359
Zn 0.318 0.500 0.818
Zn 0.582 0.862 0.720
Zn 0.982 0.341 0.641
Zn 0.699 0.341 0.359
Zn 0.142 0.862 0.280
Zn 0.682 0.500 0.182
Zn 0.500 0.000 0.500
Zn 0.418 0.138 0.280
Dy 0.294 0.294 0.000
Dy 0.000 0.000 0.000
Dy 0.706 0.706 0.000

---

Record 2
DFT (PBE) results for a geometry-optimized TeO6 structure.

- electronic total energy (eV per atom) = -3.97
- M_tot (μB/cell) = 6.00
- formation energy from the elements (eV per atom) = 0.129
- ΔE to the lowest computed polymorph (meV/atom) = 136

abc: 5.308 5.308 5.308
angles: 60.00 60.00 60.00
Fractional positions:
O 0.262 0.738 0.262
O 0.738 0.262 0.738
O 0.262 0.262 0.738
O 0.738 0.738 0.262
O 0.262 0.738 0.738
O 0.738 0.262 0.262
Te 0.000 0.000 0.000

---

Record 3
DFT (PBE) results for a geometry-optimized KCO2 structure.

- electronic total energy (eV per atom) = -6.62
- formation energy from the elements (eV per atom) = -1.906

abc: 3.504 6.212 11.090
angles: 90.00 90.00 90.00
Fractional positions:
C 0.000 0.431 0.940
C 0.000 0.069 0.440
C 0.000 0.931 0.560
C 0.000 0.569 0.060
O 0.000 0.465 0.159
O 0.000 0.965 0.341
O 0.000 0.035 0.659
O 0.000 0.272 0.451
O 0.000 0.728 0.549
O 0.000 0.772 0.049
O 0.000 0.228 0.951
O 0.000 0.535 0.841
K 0.500 0.596 0.349
K 0.500 0.904 0.849
K 0.500 0.404 0.651
K 0.500 0.096 0.151

---

Record 4
DFT (PBE) results for a geometry-optimized TmBiPt structure.

- electronic total energy (eV per atom) = -5.83
- formation energy from the elements (eV per atom) = -1.017

abc: 4.734 4.734 4.734
angles: 60.00 60.00 60.00
Fractional positions:
Pt 0.250 0.250 0.250
Bi 0.000 0.000 0.000
Tm 0.500 0.500 0.500